A/N: I suppose I best explain the nature of this fic before I get into it. This story as you may have guested from the title and summery, is about the War of the Ninepenny Kings. However we know so little of this era so I decided to fill in some of the blanks with my own ideas and OC's to help the story along, that said I'm trying to stay as accurate to the material as I can here.

Anyway, along with the usual disclaimer: I own nothing.

"You must go with along with the Prince and do everything he commands without question, be silent and obedient."

His father had once told him that on the day he sent his son off to work as a page for the Ebon Prince. Silent and Obedient. Petyr had repeated his father's words over and over in his head until it was engraved into his very soul, which was what had kept him alive for so long whilst serving as cupbearer for his master. But of course that was before his master the prince had begun to have frequent guests and bizarre meetings late at night when the world was shrouded in darkness, and it was one such meeting that Petyr now stood in attendance at, quietly waiting in the corner of the room keeping his eyes trained on the table in fear of being noticed by the guests, struggling to keep steady the jug of wine in his hand.

Unlike most of the Prince's usual gatherings which took place in the grand hall, the current meeting was held underground in an old wine cellar that had long since been converted into the Prince's most private study. The rounded table that currently held nine occupants had been put into the room less than a week ago and already took up much of the small room, however the lack of space did not seem to bother the Prince or his guests, in fact they had been too busy with their own business to comment on the locale or the servants, something Petyr was extremely thankful for.

"We've already conquered much of the Disputed lands and now with the black dragon's strength combined to ours there is little that can stop us from going further, many of us here think that Tyrosh would make a valuable target next." said the Prince mildly, as if he was discussing the weather.

The various members all murmured in agreement and Petyr watched as the corners of the Prince's mouth lifted into a slight smile. Petyr often wondered how a Summer Islander like the Prince could ever have risen so high, members of the household would whisper to each other that he had extorted gold from one of the Triachs of Volantis, or that he was the last descendant of some ancient noble House from the basilisk isles. Petyr assumed that he had gained power by simply being more savage than his political opponents.

Suddenly the tall blonde haired Volantian gestured for some wine and Petyr hurried over and refilled the man's cup with Myrish gold and then moved back into the corner away from the attention of the guests. After the Volantian took a small sip he looked over to the Prince with a deep frown. "How soon can we begin to destabilise the Tyroshi state?" he asked in a bored tone.

The Ebon Prince's smile seemed to broaden at that, like a cat who had found himself a very nice bird. "I already have agents currently sowing seeds of discontent within the masses….by the time we're ready to launch an assault the people will be begging us to kill their leaders, and place our dear friend Goldentongue in charge."

This seemed to please the Volantian and he sat back in his chair, giving a colourful man sitting to his left, no doubt Goldentongue, a slight nod before he looked down into his wine and begun nursing it slowly, as if savouring the taste, though whether it was the taste of gold or the taste of future victory Petyr did not know.

Petyr was snapped back to reality when one of the pirates sitting at the table-for he had to be a pirate with that eye patch- slammed his cup down on the table hard and threw a glare over in Petyr's direction. "You deaf boy? Bring me some wine before I take those idiotic eyes from your skull!" barked the pirate, sending spittle everywhere.

"Apologies Milord." muttered Petyr as he hurried over to fill the man's cup.

After a beat the guests returned to their mutterings and discussions about various other cities to attack after Tyrosh, someone suggested Norvos, while another lord proudly said that Braavos would make a fine conquest which was met with a heated discussion on whether or not they would be able to attack the city by sea or if they had to use the land passages. The debates kept going backwards and forwards between them until suddenly a large hooded figure violently stabbed a curved dagger into the table, getting the attention of everyone in the room and causing Petyr to spill some wine as he jerked back.

"Are you all forgetting the true prize? The throne that is rightfully mine?" growled a raspy voice from under the hood. The figure rose from his seat and cast an oppressive shadow over the whole table; he was gigantic, easily twice as large as any man Petyr had ever seen and it seemed like the cloak he was wearing was made up of various sheets stitched together to cover his abnormally large chest and torso. The other eight members said nothing and watched the hooded monster in stunned silence.

"My friends, a far greater prize awaits us…..one that was stolen from me and my forefathers, one that we can TAKE BACK!" he shouted, slamming his colossal fist into the oaken table, denting it slightly.

"Westeros." said Goldentongue, with a sardonic smile on his brightly coloured face. "A wondrous prospect, but how do you propose we beat your Targaryen kin?"

The hooded man merely inclined his head to an odd angle in Goldentongue's direction before answering in a surprisingly calm voice. "The same way we will give you a crown. First we will show the people the ugly side of their King and his lords, and then, when every man, woman and child from Dorne to the Wall scream for his blood…..we shall give it to them. We will wipe the line of Daeron from existence."

A hushed silence fell over the table then, and many of the lords looked from one to another as they absorbed the gravity of what their hulking ally had suggested. Petyr looked at each of their expressions, watching as they began to silently weigh the pros and cons of the idea.

The hooded figure then produced a scroll of parchment from his robes and flattened it on the middle of the table, showing a map of some foreign land full of writings that Petyr couldn't read or understand. The big man then pointed a mailed glove near the bottom of the land. "The bountiful lands of Reach" he then moved his finger "the rolling hills of Gold in the Westerlands, the beauty of the Trident…..I offer this all to you my friends, to you and your sons after you. All I ask is that you fight with me, in freeing the Seven Kingdoms from the bastard's rule."

Petyr could already see that the lords were finding the big man's offer more and more enticing as they visualized the Western continent. Finally the Ebon Prince stood from his seat and looked over the others. "You paint quite the picture Lord Blackfyre, and I think that there are none here who would be foolish enough to turn away such an offer, not after we've already accomplished so much with the aid of your Golden Company bolstering our ranks we can face any force…. all in favour?" he asked the others, each of them slowly grunting or murmuring in the affirmative. "Good….then I think that will be all for tonight, tomorrow begins the fall of Tyrosh!"

The Nine then all gave a bow to each other and slowly left the small room, and seeing his master leave Petyr made for the door too before feeling the rough mailed grip of the hooded man on his arm. With a slight growl the man looked down at Petyr from the darkness of his robe. "I knew you were starring boy, I always know when someone stares."

## Records of crystals, kept here for reference
For K3Cr2Br9, a GGA-PBE-relaxed structure gives the simulated X-ray powder pattern in this record (CuKα).
Kinematic intensities with the Lorentz-polarization factor, no thermal factor.

Peak list (10 most intense, 10° ≤ 2θ ≤ 90°, in order of falling intensity)
two_theta  d [Å]  Rel. int.  hkl
34.2  2.619  100  0 2 2
29.6  3.014  91  2 0 1
16.9  5.237  41  0 1 1
49.0  1.861  34  2 0 4
49.5  1.843  34  2 2 0
29.2  3.054  30  0 0 3
58.5  1.578  24  2 2 3
61.5  1.507  17  4 0 2
82.7  1.167  14  2 4 2
81.9  1.176  13  2 2 6

Structure:
Unit cell a=7.3709 b=7.3709 c=9.1610 alpha=90.00 beta=90.00 gamma=120.00
Space group P-3m1 (No. 164)
Unique sites:
K 0.0000 0.0000 0.0000
K 0.3333 0.6667 0.3471
Cr 0.3333 0.6667 0.8251
Br 0.0000 0.5000 0.0000
Br 0.1737 0.3474 0.6788

---

For Zr8GaCo2, a GGA-PBE-relaxed structure gives the simulated X-ray powder pattern in this record (CuKα).
Kinematic intensities with the Lorentz-polarization factor, no thermal factor.

Peak list (10 most intense, 10° ≤ 2θ ≤ 90°, in order of falling intensity)
two_theta  d [Å]  Rel. int.  hkl
34.8  2.580  100  0 4 1
36.4  2.467  67  3 1 -1
37.2  2.419  65  2 4 0
34.4  2.608  57  2 0 1
38.9  2.318  37  1 1 -2
41.4  2.183  34  1 5 -1
41.6  2.170  27  3 3 0
51.2  1.783  24  3 3 -2
60.2  1.536  24  2 4 2
70.1  1.342  21  2 8 1

Structure:
Unit cell a=7.898 b=12.520 c=4.721 alpha=90.00 beta=105.13 gamma=90.00
Space group Cm (No. 8)
Unique sites:
Zr 0.000 0.000 0.000
Zr 0.092 0.381 0.761
Zr 0.193 0.122 0.624
Zr 0.277 0.500 0.364
Zr 0.412 0.241 0.178
Ga 0.390 0.000 0.190
Co 0.368 0.311 0.651

---

For Li2TlF3, a GGA-PBE-relaxed structure gives the simulated X-ray powder pattern in this record (CuKα).
Kinematic intensities with the Lorentz-polarization factor, no thermal factor.

Peak list (10 most intense, 10° ≤ 2θ ≤ 90°, in order of falling intensity)
two_theta  d [Å]  Rel. int.  hkl
23.0  3.875  100  1 1 1
34.4  2.605  86  2 2 1
14.5  6.096  62  1 1 0
38.8  2.320  49  3 1 1
26.4  3.376  44  0 2 1
31.4  2.851  44  1 3 0
21.7  4.096  42  2 0 0
48.3  1.884  26  1 3 2
35.8  2.510  23  0 0 2
54.7  1.678  21  1 5 1

Structure:
Unit cell a=8.193 b=9.123 c=5.020 alpha=90.00 beta=90.00 gamma=90.00
Space group Cmcm (No. 63)
Unique sites:
Li 0.159 0.000 0.000
Tl 0.000 0.346 0.250
F 0.000 0.069 0.750
F 0.202 0.417 0.750

---

For AlGaAg, a GGA-PBE-relaxed structure gives the simulated X-ray powder pattern in this record (CuKα).
Kinematic intensities with the Lorentz-polarization factor, no thermal factor.

Peak list (10 most intense, 10° ≤ 2θ ≤ 90°, in order of falling intensity)
two_theta  d [Å]  Rel. int.  hkl
36.0  2.497  100  4 0 0
31.5  2.844  78  1 1 0
42.4  2.130  61  3 1 -2
44.3  2.043  59  1 1 2
40.8  2.209  55  0 0 3
42.0  2.150  52  4 0 -3
25.4  3.503  51  2 0 -2
17.3  5.128  45  2 0 -1
40.7  2.215  43  3 1 0
32.8  2.732  39  1 1 -1

Structure:
Unit cell a=10.956 b=2.967 c=7.270 alpha=90.00 beta=114.26 gamma=90.00
Space group C2/m (No. 12)
Unique sites:
Al 0.120 0.000 0.180

A wave of terror shot through Petyr like a jolt of lightening, and he quickly made to apologize. "Please forgive me milord I didn't mean nothing by it, I-"

"I am no mere lord boy, I am the King! The rightful King!" snarled the giant man before suddenly easing his grip on Petyr's arm. "But I suppose it's only right that you see the face of your new King." And in one swift motion he pulled back his hood.

Petyr slowly backed away as a terror began to overtake him from the sight that was standing before him; the man had a broad ugly face, with short silver hair and piercing lilac eyes that were aflame with malevolence as they looked down at him. But what truly frightened Petyr was the shape sticking out of the tall man's neck; grossly misshapen and small, sat another head, one that looked as if it were a child's. Its half formed face was locked in an expression of pain and misery.

The monster standing before him began to laugh then, a horrible sound that cut through Petyr's soul like a hot knife through butter and in that moment he was so certain of death that he dropped his wine jug and ran from the room as fast as he could, the mad laughter of Maelys the Monstrous following him.